Services Directive: ‘European Commission must be bolder’

Met dank overgenomen van Europese Rekenkamer i, gepubliceerd op maandag 14 maart 2016.

The European Commission should be bolder in its support for EU businesses and consumers, who are still not able to buy or sell services across borders as readily as they should be, according to a new report from the European Court of Auditors i. While the single market for goods is well-developed, the services market is still widely recognised as not having achieved its full potential. The Services Directive should have increased transparency and made it easier for businesses and consumers to buy and sell. But some years after the deadline for implementation, barriers still remain.

-- The piece is interrupted by data records --
-- begin --
Entry 1:
VASP calculation (PBE-GGA) on an optimized crystal structure of ErSnRh2.

Calculated values
Calculated formation energy in eV/f.u.: -3.301

Cell lengths 6.6306, 6.6306, 6.6306 Å; angles 90.00, 90.00, 90.00 degrees
Space group Fm-3m (No. 225)
One atom of each set of equivalent atoms:
Er  0.0000  0.0000  0.0000 (multiplicity 4)
Sn  0.0000  0.0000  0.5000 (multiplicity 4)
Rh  0.2500  0.2500  0.2500 (multiplicity 8)



Entry 2:
VASP calculation (PBE-GGA) on an optimized crystal structure of ErSnRh.

Calculated values
Calculated formation energy in eV/f.u.: -2.717

Cell lengths 7.6185, 7.6185, 3.7414 Å; angles 90.00, 90.00, 120.00 degrees
Space group P-62m (No. 189)
One atom of each set of equivalent atoms:
Er  0.0000  0.5969  0.0000 (multiplicity 3)
Sn  0.0000  0.2651  0.5000 (multiplicity 3)
Rh  0.0000  0.0000  0.0000 (multiplicity 1)
Rh  0.3333  0.6667  0.5000 (multiplicity 2)



Entry 3:
VASP calculation (PBE-GGA) on an optimized crystal structure of TbErRh2.

Calculated values
Calculated formation energy in eV/f.u.: -3.556

Cell lengths 6.8497, 6.8497, 6.8497 Å; angles 90.00, 90.00, 90.00 degrees
Space group Fm-3m (No. 225)
One atom of each set of equivalent atoms:
Tb  0.0000  0.0000  0.0000 (multiplicity 4)
Er  0.0000  0.0000  0.5000 (multiplicity 4)
Rh  0.2500  0.2500  0.2500 (multiplicity 8)



Entry 4:
VASP calculation (PBE-GGA) on an optimized crystal structure of YErRh2.

Calculated values
Calculated formation energy in eV/f.u.: -3.551

Cell lengths 6.8493, 6.8493, 6.8493 Å; angles 90.00, 90.00, 90.00 degrees
Space group Fm-3m (No. 225)
One atom of each set of equivalent atoms:
Y  0.0000  0.0000  0.0000 (multiplicity 4)
Er  0.0000  0.0000  0.5000 (multiplicity 4)
Rh  0.2500  0.2500  0.2500 (multiplicity 8)



Entry 5:
VASP calculation (PBE-GGA) on an optimized crystal structure of ErZnRh.

Calculated values
Calculated formation energy in eV/f.u.: -2.254

Cell lengths 6.9031, 4.0556, 8.0518 Å; angles 90.00, 90.00, 90.00 degrees
Space group Pnma (No. 62)
One atom of each set of equivalent atoms:
Er  0.0308  0.2500  0.1834 (multiplicity 4)
Zn  0.1418  0.2500  0.5642 (multiplicity 4)
Rh  0.2396  0.7500  0.3767 (multiplicity 4)



Entry 6:
VASP calculation (PBE-GGA) on an optimized crystal structure of ErRu2.

Calculated values
Calculated formation energy in eV/f.u.: -1.088

Cell lengths 5.2563, 5.2563, 8.9004 Å; angles 90.00, 90.00, 120.00 degrees
Space group P6_3/mmc (No. 194)
One atom of each set of equivalent atoms:
Er  0.3333  0.6667  0.0669 (multiplicity 4)
Ru  0.0000  0.0000  0.0000 (multiplicity 2)
Ru  0.1709  0.3418  0.7500 (multiplicity 6)



Entry 7:
VASP calculation (PBE-GGA) on an optimized crystal structure of Er5Ru2.

Calculated values
Calculated formation energy in eV/f.u.: -2.739
Spin magnetization in μB per formula unit: 0.01

Cell lengths 15.5635, 6.2615, 7.2605 Å; angles 90.00, 97.27, 90.00 degrees
Space group C2/c (No. 15)
One atom of each set of equivalent atoms:
Er  0.0000  0.0819  0.2500 (multiplicity 4)
-- stop --

The Services Directive covers activities which contribute about 46% of EU GDP and should have eliminated obstacles for cross-border trade in services. The deadline for transposition of the Directive was set for 2009, but according to a Commission report from 2013, Europe is still falling short of its ambitions to fully liberalise trade in this area.

’The European Commission is not looking after the interests of Europe’s consumers or service providers as well as it should,” said Neven Mates, the Member of the European Court of Auditors responsible for the report. “It is reluctant to pursue legal proceedings, partly due to the length of the judicial procedure, but also due to lack of confidence in the legislation’’.

The auditors visited seven Member States: Portugal, the Netherlands, France, the United Kingdom, Austria, Germany and Slovakia. They found that:

[Unrelated to this text: calculated crystals]
/*
[1]
Entry from the Materials Project: a relaxed structure of Sr2VP2O9 (PBE with a Hubbard U).

V = 349.50 Å³/cell
space group = Cc
total DFT energy (no corrections) = -205.945 eV per cell

a = 6.833 Å, b = 7.073 Å, c = 8.822 Å
α = 76.39°, β = 77.53°, γ = 115.31°
Fractional coordinates of all 28 atoms:
O 0.038 0.788 0.418
O 0.983 0.516 0.727
O 0.403 0.639 0.049
P 0.586 0.835 0.328
O 0.349 0.620 0.449
V 0.996 0.476 0.507
O 0.253 0.217 0.785
O 0.653 0.378 0.553
Sr 0.375 0.625 0.752
O 0.705 0.930 0.447
O 0.538 0.002 0.215
Sr 0.792 0.040 0.917
O 0.792 0.756 0.726
P 0.413 0.163 0.672
P 0.172 0.421 0.156
O 0.956 0.207 0.582
Sr 0.209 0.957 0.083
O 0.596 0.361 0.951
O 0.048 0.312 0.049
O 0.298 0.069 0.551
O 0.211 0.243 0.273
V 0.003 0.983 0.493
Sr 0.627 0.377 0.248
O 0.952 0.688 0.951
O 0.018 0.482 0.274
O 0.746 0.783 0.214
O 0.460 0.997 0.786
P 0.828 0.577 0.844

[2]
Entry from the Materials Project: a relaxed structure of TiVP2O8 (PBE with a Hubbard U).

V = 456.56 Å³/cell
magnetic moment = 0.250 μB/atom
space group = R3
total DFT energy (no corrections) = -284.059 eV per cell

a = 8.605 Å, b = 8.605 Å, c = 8.605 Å
α = 60.59°, β = 60.59°, γ = 60.59°
Fractional coordinates of all 36 atoms:
O 0.739 0.942 0.090
O 0.118 0.315 0.497
O 0.816 0.617 0.998
V 0.501 0.501 0.501
Ti 0.355 0.355 0.355
P 0.457 0.043 0.749
O 0.990 0.187 0.391
Ti 0.645 0.645 0.645
V 0.142 0.142 0.142
O 0.617 0.998 0.816
O 0.090 0.739 0.942
O 0.508 0.885 0.679
O 0.444 0.238 0.587
P 0.956 0.250 0.543
V 0.999 0.999 0.999
O 0.679 0.508 0.885
O 0.497 0.118 0.315
O 0.761 0.413 0.565
O 0.187 0.391 0.990
P 0.043 0.749 0.457
O 0.998 0.816 0.617
O 0.413 0.565 0.761
O 0.391 0.990 0.187
P 0.250 0.543 0.956
O 0.587 0.444 0.238
O 0.904 0.263 0.055
O 0.565 0.761 0.413
O 0.942 0.090 0.739
O 0.315 0.497 0.118
P 0.543 0.956 0.250
P 0.749 0.457 0.043
O 0.238 0.587 0.444
O 0.885 0.679 0.508
O 0.263 0.055 0.904
Ti 0.856 0.856 0.856
O 0.055 0.904 0.263

[3]
Entry from the Materials Project: a relaxed structure of TiV5P6O24 (PBE with a Hubbard U).

V = 452.96 Å³/cell
magnetic moment = 0.306 μB/atom
space group = R3
total DFT energy (no corrections) = -277.436 eV per cell

a = 8.605 Å, b = 8.605 Å, c = 8.605 Å
α = 60.24°, β = 60.24°, γ = 60.24°
Fractional coordinates of all 36 atoms:
O 0.311 0.114 0.507
O 0.996 0.619 0.814
O 0.386 0.187 0.996
O 0.914 0.060 0.262
O 0.507 0.311 0.114
P 0.543 0.250 0.957
O 0.939 0.740 0.086
O 0.411 0.759 0.562
O 0.814 0.996 0.619
V 0.000 0.000 0.000
O 0.187 0.996 0.386
O 0.495 0.688 0.887
O 0.589 0.239 0.444
P 0.043 0.455 0.750
O 0.086 0.939 0.740
O 0.759 0.562 0.411
V 0.643 0.643 0.643
O 0.114 0.507 0.311
Ti 0.855 0.855 0.855
P 0.750 0.043 0.455
O 0.060 0.262 0.914
O 0.239 0.444 0.589
P 0.455 0.750 0.043
O 0.688 0.887 0.495
O 0.740 0.086 0.939
O 0.262 0.914 0.060
O 0.444 0.589 0.239
O 0.887 0.495 0.688
P 0.250 0.957 0.543
V 0.144 0.144 0.144
V 0.501 0.501 0.501
V 0.357 0.357 0.357
O 0.619 0.814 0.996
O 0.562 0.411 0.759
P 0.957 0.543 0.250
O 0.996 0.386 0.187

[4]
*/

  • The Commission had assisted and monitored the transposition of the Directive into national legislation, but most Member States had not transposed it on time despite the ‘’three-year’’ deadline
  • The mutual evaluations exercise and performance checks had shown that a significant number of obstacles persisted. This had led to further legislative proposals, but the Commission could have used the results better
  • Country Specific Recommendations had had limited success
  • The Commission and Member States had not started to compile statistics on trade in services covered by the Directive
  • Points of Single Contact had been delayed in being set up and were of mixed quality across Member States. Information was still difficult to find and business awareness remained low
  • Measures such as SOLVIT and EU Pilot did not provide the speedy results required by businesses and services recipients
  • The absence of transparency in EU Pilot procedures for addressing Services Directive issues was unhelpful for establishing common legal practice and public awareness in this area, as was the practice of not publishing reasoned opinions after the completion of infringement procedures
  • The Commission had used infringement procedures sparingly and had referred only one case to the European Court of Justice.

According to the data provided by the Commission, the average duration of the infringement cases related to the Directive was 19.6 months. For one case, say the auditors, it took the Commission 16 months to send the administrative letter to the Member State after identifying the problem and another six months to launch the EU Pilot case. In another Member State, it took the Commission almost 20 months from receiving a complaint to starting the EU Pilot.